What is phishing (fraudulent emails or text messages) and what is its goal?

Phishing scams consist in sending emails or text messages pretending to be originated from a particular entity or organization. They are usually faithful copies and contain misleading messages intended to prompt users to disclose confidential data (for instance, user names and passwords for homebanking sites,  credit card numbers, etc.) or to install malicious software (malware) that will allow their computers to be remotely controlled.

What can I do to identify this kind of message and avoid its consequences?

To protect yourself against these attacks, simply follow the basic rules of safe internet use, which are:
> Never send personal data requested by email or text messages, such as: credit card number, user names, passwords, or any other private data. EDP will never use these communication channels to ask you for this kind of information;
> Don't follow any links contained in suspicious emails or text messages. If you want to access the organization mentioned in the message, enter the address directly in your browser and browse it from there;
> If in doubt, contact the organization to confirm the authenticity of the email or text message, but never use the links contained therein. Do it the way you usually do;
> Keep your computer software up to date, especially your browser and security software such as anti-viruses and firewalls;
> install a tool bar on your browser. NetCraft has developed a tool bar that provides comprehensive information about the site you are accessing: the geographical location of the server hosting the site, the organization responsible for the site, and the first time the address was detected by NetCraft.

Where do they get the email addresses to send this kind of message?

== Data records, as found in the file ==
┌──
(1)
DFT (PBE with a Hubbard U) results for an optimized crystal structure of Sr2Fe2O5.

Unit cell a=3.9592 b=3.9592 c=7.8117 alpha=90.00 beta=90.00 gamma=90.00
Site moments in Bohr magnetons follow the coordinates.
Atoms (fractional coordinates):
Sr  0.0000  0.0000  0.0000  0.00
Sr  0.0000  0.0000  0.5000  -0.01
Fe  0.5000  0.5000  0.2550  4.32
Fe  0.5000  0.5000  0.7450  4.32
O  0.5000  0.0000  0.2154  0.21
O  0.5000  0.0000  0.7846  0.21
O  0.5000  0.5000  0.5000  0.24
O  0.0000  0.5000  0.2154  0.21
O  0.0000  0.5000  0.7846  0.21

The relative energy among the computed polymorphs is 56 meV/atom. The calculation puts the uncorrected energy at -6.438 eV per atom.

=====

(2)
DFT (PBE with a Hubbard U) results for an optimized crystal structure of Sr2TaFeO6.

Unit cell a=5.6612 b=5.6754 c=8.0088 alpha=90.02 beta=90.00 gamma=90.00
Site moments in Bohr magnetons follow the coordinates.
Atoms (fractional coordinates):
Sr  0.0125  0.9973  0.7503  0.00
Sr  0.5125  0.5027  0.7497  0.00
Sr  0.4875  0.4973  0.2503  0.00
Sr  0.9875  0.0027  0.2497  0.00
Ta  0.5000  0.0000  0.5000  0.06
Ta  0.0000  0.5000  0.0000  0.06
Fe  0.5000  0.0000  0.0000  4.35
Fe  0.0000  0.5000  0.5000  4.35
O  0.0051  0.5501  0.2473  0.09
O  0.5051  0.9499  0.2527  0.09
O  0.9949  0.4499  0.7527  0.09
O  0.4949  0.0501  0.7473  0.09
O  0.2663  0.7292  0.9739  0.08
O  0.7663  0.7708  0.5261  0.08
O  0.7337  0.2708  0.0261  0.08
O  0.2337  0.2292  0.4739  0.08
O  0.7295  0.2657  0.4742  0.08
O  0.2295  0.2343  0.0258  0.08
O  0.2705  0.7343  0.5258  0.08
O  0.7705  0.7657  0.9742  0.08

The calculation puts the uncorrected energy at -7.752 eV per atom.

=====

(3)
DFT (PBE with a Hubbard U) results for an optimized crystal structure of Sr3Ta2FeO9.

Unit cell a=5.7162 b=5.7162 c=7.0536 alpha=90.00 beta=90.00 gamma=120.00
Site moments in Bohr magnetons follow the coordinates.
Atoms (fractional coordinates):
Sr  0.3333  0.6667  0.6593  -0.01
Sr  0.0000  0.0000  0.0000  0.00
Sr  0.6667  0.3333  0.3407  -0.01
Ta  0.3333  0.6667  0.1753  -0.08
Ta  0.6667  0.3333  0.8247  -0.08
Fe  0.0000  0.0000  0.5000  3.97
O  0.8304  0.1696  0.6724  0.04
O  0.8304  0.6609  0.6724  0.04
O  0.3391  0.1696  0.6724  0.04
O  0.6609  0.8304  0.3276  0.04
O  0.1696  0.3391  0.3276  0.04
O  0.1696  0.8304  0.3276  0.04
O  0.5000  0.0000  0.0000  0.01
O  0.0000  0.5000  0.0000  0.01
O  0.5000  0.5000  0.0000  0.01

The calculation puts the uncorrected energy at -8.045 eV per atom.

=====

(4)
DFT (PBE with a Hubbard U) results for an optimized crystal structure of Sr2TbFeO5.

Unit cell a=3.4486 b=7.3657 c=10.9358 alpha=90.00 beta=90.00 gamma=103.54
Site moments in Bohr magnetons follow the coordinates.
Atoms (fractional coordinates):
Sr  0.8679  0.7358  0.7788  0.00
Sr  0.1177  0.2355  0.7091  0.00
Sr  0.1321  0.2642  0.2788  0.00
Sr  0.8823  0.7645  0.2091  0.00
Tb  0.7821  0.5642  0.5027  0.02
Tb  0.2179  0.4358  0.0027  0.02
Fe  0.5056  0.0112  0.9724  4.25
Fe  0.4944  0.9888  0.4724  4.25
└──

Email addresses or mobile phone numbers used to send phishing messages on behalf of EDP were not obtained from any EDP database. Such information is usually collected from lists of users whose internet access devices have been infected with malware, thus spreading the phishing scam.

What to do if you are caught in a phishing scam?

If users click on the links contained in these phishing messages and run the attached files, they should:
> Seek expert technical assistance, mentioning that they have installed malware and fell prey to a phishing scam (show email or text messages). There are some technical instructions for cleaning infected devices. We recommend that they be performed by experienced users, as they include some commands which, if performed incorrectly, may render the device unusable and not solve the problem completely. Moreover, the phishing scheme carried out on behalf of EDP uses some malware variants which may require specific cleaning methods.
> Change the credentials for the most sensitive accesses (e.g. homebanking access codes); for that purpose, don't use any computer or device that may have been affected and which is not demonstrably clean.

Can EDP do anything to mitigate the impact of  phishing attacks?

Despite not having anything to do with such scams, EDP can and has taken action to mitigate the consequences of these phishing attacks, more specifically:
> Like all organizations involved in the effort to improve cybersecurity in the country, EDP uses its communication channels to issue warning notices and relevant information.
> Whenever you detect a site hosting malware, inform the site administrator that it is being used for unlawful purposes, and that measures must be taken to correct existing vulnerabilities;
> Send your anti-virus provider the malware used in the phishing scam so that they can develop tools to solve the problem; such tools will then be distributed to users by means of anti-virus regular updates. This measure does not solve the problem with infected devices, but helps prevent new infections.

Is the EDP electronic invoice safe?

Electronic invoicing is the most effective way to respect the privacy and security of customer data. Invoices are protected by robust security protocols that regulate the electronic invoicing service, and can be viewed or printed from the reserved customer area. Phishing scams involving the EDP name have not affected the safety of the electronic invoicing service.